Saturday, August 26, 2006


I feel like all I've been doing is coughing! After over a week of not sleeping and spending most of my waking hours eating coughdrops and drinking Robitussin like a crazy woman, I finally gave in and went to the doctor. The brilliant diagnosis?

"It's probably allergies. Take some Claritin."

I've had allergies, all sorts, all of my life, and I've never ever had a cough like this. I was actually hoping for some sort of diagnosis that I could take some medicine and be all better right away.

Didn't happen.

Last night, after two days of taking Claritin and Flonase and some horse pill of a cough suppressant, I got at least a little bit of sleep. Which is the only reason I've made it to my computer.

A cough is not such an easy thing to deal with. I can't really talk - because it makes me cough. If I move around too much...well, it must make me breathe more so that leads to more coughing.

I've actually pulled a muscle in my neck from coughing.

No fun at all.

So I'm trying to get back to my life slowly but surely. School started this week so life happens whether you're feeling up to it or not, doesn't it? And the kids back to school ushers in a new wave of uncertainty for me.

Still no contracts.

I realize that the publishing world is a little slower in the summer. But still. Not knowing. Wondering. It all takes a toll on the "hope factor".

Right now though, I'd probably be thrilled with just a decent night's sleep.

Here's to perspective:-)

Monday, August 21, 2006

Good-bye Summer??

School starts this week. The beginning of a new school year is always so exciting - and I tend to wax nostaligic about those years I was a teacher. A new school year was always my favorite time of the year. Setting up the room, writing all the kid's names on little punch out apples to hang on the bulletin board. Everything clean and neat and new. It was before you knew which kids were going to drive you crazy and long before you start counting down the days until Christmas break.

I'm not a teacher anymore and find myself in the position of "parent". It's different from this view. Buying all the school supplies, seeing a teacher's name written on a piece of paper and wondering if your child will be cared about. If that new teacher will see just how wonderful and extraordinary your child really is. My middle child is starting Kindergarten this year. I think she'll love it.

My youngest will go to pre-school. She too will love it.

And I will find myself - for the first time, with some quiet hours for writing. Three times a week. It's also sad and exciting. But when I look at how unproductive I have been this summer, I want to tackle this new school year with some real goals and plans. I don't want to get side-tracked and fritter those precious hours away. I want to be able to focus on my kids when they come home from school - not be thinking about what I didn't get finished.

So - I feel the urge of goal-setting coming on. I know most people think about that in January - but now feels like the right time.

I won't break it down into hours yet.

But my #1 goal - is to close down my e-mail while I'm working. I'm afraid I've developed a Pavlovian dog response when the e-mail dings to tell me there's mail in there. It breaks my train of thought and then I take a while to get back on track.

So the goal is this: Work first.

[Unrelated to this article: crystal structures]
-- begin --
Entry 1:
Here is Ba2CoH2 after structural relaxation from Alexandria. Energies are from GGA-PBE.

Total DFT energy (no corrections), eV per atom: -3.4183
DOS at the Fermi energy, states/eV/f.u.: 6.6

Structure (POSCAR):
```
Ba2CoH2
1.0
-2.0860 2.0860 7.1402
2.0860 -2.0860 7.1402
2.0860 2.0860 -7.1402
Ba Co H
2 1 2
Direct
0.1393 0.1393 0.0000
0.8607 0.8607 0.0000
0.5000 0.5000 0.0000
0.2500 0.7500 0.5000
0.7500 0.2500 0.5000
```

Entry 2:
Here is BaCo2H7 after structural relaxation from Alexandria. Energies are from GGA-PBE.

Total DFT energy (no corrections), eV per atom: -4.1086
DOS at the Fermi energy, states/eV/f.u.: 1.9

Structure (POSCAR):
```
BaCo2H7
1.0
2.4888 -4.6248 0.0000
2.4888 4.6248 0.0000
0.0000 0.0000 3.5838
Ba Co H
1 2 7
Direct
0.0000 0.0000 0.0000
0.3152 0.6848 0.5000
0.6848 0.3152 0.5000
0.0147 0.3482 0.5000
0.3230 0.6770 0.0000
0.3482 0.0147 0.5000
0.5000 0.5000 0.5000
0.6518 0.9853 0.5000
0.6770 0.3230 0.0000
0.9853 0.6518 0.5000
```

Entry 3:
Here is Ba3Co5H12 after structural relaxation from Alexandria. Energies are from GGA-PBE.

Total DFT energy (no corrections), eV per atom: -4.0372
DOS at the Fermi energy, states/eV/f.u.: 5.6

Structure (POSCAR):
```
Ba3Co5H12
1.0
-6.0057 6.0057 6.0057
6.0057 -6.0057 6.0057
6.0057 6.0057 -6.0057
Ba Co H
12 20 48
Direct
0.1250 0.2500 0.3750
0.1250 0.3750 0.7500
0.2500 0.3750 0.1250
0.2500 0.8750 0.6250
0.3750 0.1250 0.2500
0.3750 0.7500 0.1250
0.6250 0.2500 0.8750
0.6250 0.8750 0.7500
0.7500 0.1250 0.3750
0.7500 0.6250 0.8750
0.8750 0.6250 0.2500
0.8750 0.7500 0.6250
0.0000 0.0000 0.0000
0.0000 0.0000 0.5000
0.0000 0.5000 0.0000
0.0000 0.5000 0.5000
0.1250 0.7500 0.8750
0.1250 0.8750 0.2500
0.2500 0.1250 0.8750
0.2500 0.6250 0.3750
0.3750 0.2500 0.6250
0.3750 0.6250 0.7500
0.5000 0.0000 0.0000
0.5000 0.0000 0.5000
0.5000 0.5000 0.0000
0.5000 0.5000 0.5000
0.6250 0.3750 0.2500
0.6250 0.7500 0.3750
0.7500 0.3750 0.6250
0.7500 0.8750 0.1250
0.8750 0.1250 0.7500
0.8750 0.2500 0.1250
0.0181 0.6812 0.0978
0.0181 0.8370 0.9204
0.0796 0.5978 0.9166
0.0796 0.9819 0.1630
0.0834 0.6630 0.6812
0.0834 0.9204 0.4022
0.0978 0.0181 0.6812
0.0978 0.5796 0.4166
0.1630 0.0796 0.9819
0.1630 0.5834 0.1812
0.1812 0.1630 0.5834
0.1812 0.5181 0.5978
0.3188 0.9022 0.9819
0.3188 0.9166 0.3370
0.3370 0.3188 0.9166
0.3370 0.5181 0.4204
0.4022 0.0834 0.9204
0.4022 0.8188 0.4819
0.4166 0.0978 0.5796
0.4166 0.8188 0.8370
0.4204 0.3370 0.5181
0.4204 0.5834 0.9022
0.4819 0.4022 0.8188
0.4819 0.5796 0.6630
0.5181 0.4204 0.3370
0.5181 0.5978 0.1812
0.5796 0.4166 0.0978
0.5796 0.6630 0.4819
0.5834 0.1812 0.1630
0.5834 0.9022 0.4204
0.5978 0.1812 0.5181
0.5978 0.9166 0.0796
0.6630 0.4819 0.5796
0.6630 0.6812 0.0834
0.6812 0.0834 0.6630
0.6812 0.0978 0.0181
0.8188 0.4819 0.4022
0.8188 0.8370 0.4166
0.8370 0.4166 0.8188
0.8370 0.9204 0.0181
0.9022 0.4204 0.5834
0.9022 0.9819 0.3188
-- stop --

I hereby promise (I'll try) to only check my e-mail once when I turn on my computer, then close my outlook program and not check again until I'm finished for the day.

Sounds so simple but I think this one goal will help me actually do everything else I need to do.

Kind of sad, huh?

Here's to productivity!

Friday, August 11, 2006

Beach Bound

We're finally going on vacation. Tomorrow. And I still need to pack:-)

But just thought I'd let you know that I'll have no laptop with me so no blogging folks! Nope. Just me, a notebook and a pen. I LOVE writing this way. I think better with a pen in my hand.

-- Between two parts of the text: records of crystals --
<<<
Entry 1:
LiNbSb2Te | Alexandria | PBE-GGA | relaxed; total magnetic moment = 0.00 μB/atom; formation energy without anion corrections = 123 meV per atom; E above lowest polymorph = 0.000 eV/f.u.; V = 160.3 Å³ per cell
1.0
-3.671 -3.212 2.396
0.666 -3.693 -3.931
3.948 -2.360 2.886
Te Sb Li Nb
1 2 1 1
direct
0.000 0.000 0.500
0.000 0.500 0.000
0.500 0.000 0.000
0.500 0.500 0.500
0.000 0.000 0.000

***

Entry 2:
LiNbVSb2 | Alexandria | PBE-GGA | relaxed; total magnetic moment = 0.18 μB/atom; formation energy without anion corrections = 1156 meV per atom; V = 135.2 Å³ per cell
1.0
5.278 0.000 0.000
0.000 4.852 0.000
0.000 0.000 5.278
V Sb Nb Li
1 2 1 1
direct
0.500 0.500 0.500
0.000 0.000 0.500
0.500 0.000 0.000
0.000 0.000 0.000
0.000 0.500 0.000

***

Entry 3:
LiSc2Nb2 | Alexandria | PBE-GGA | relaxed; calculated formation energy = 73 kJ/mol of atoms; total magnetic moment = 0.00 μB/atom; E above lowest polymorph = 1.956 eV/f.u.; V = 109.7 Å³ per cell
1.0
-0.979 3.849 -0.692
-2.389 -1.153 -3.036
-6.870 0.800 2.425
Sc Li Nb
2 1 2
direct
0.750 0.250 0.500
0.250 0.750 0.500
0.000 0.000 0.000
0.585 0.585 0.830
0.415 0.415 0.170

***

Entry 4:
LiSc2Nb | Alexandria | PBE-GGA | relaxed; calculated formation energy = 11 kJ/mol of atoms; total magnetic moment = 0.00 μB/atom; E above lowest polymorph = 0.000 eV/f.u.; V = 85.9 Å³ per cell
1.0
3.088 0.000 0.000
0.000 3.088 0.000
0.000 0.000 9.009
Sc Li Nb
2 1 1
direct
0.000 0.000 0.232
0.000 0.000 0.768
0.500 0.500 0.500
0.500 0.500 0.000

***

Table of raw total energy (eV for the cell shown), in record order: -22.757 -23.569 -30.916 -24.188
>>>

The only problem with this method is that I can't just hand it to my computer and I'll need to come home and actually type it all in. Oh well. It's better than bringing the laptop:-)

See ya next week!!

Wednesday, August 09, 2006

Dad & Me

Cross-Post from Girls, God & the Good Life
Yesterday was my father's birthday. My memories of him have been in and out of my thoughts all week. It's been almost two years since he died and though it seems strange to me, I still find it hard to believe that he's really gone.

I was the first-born in my family and growing up, we had an interesting relationship. When I was little, I was scared of him. He was the disciplinarian that my mother would threaten us with. I still remember the sound of his leather belt snapping together. When I was a teenager, as long as I behaved, I was given a lot of freedom, a car and his trust. (Though it was undeserved in some ways, I'll admit.) But I also watched him have an affair with a woman in our town and hid when he was strung out on cocaine. When I was in college, he hated that I had become a Christian and we went for several years that were tense. Then, as he began to realize that Christ wasn't something I was going to walk away from, he developed a respect for the person I was becoming. He, of course, wanted to take the credit for me turning out the way I did.

We had a tough relationship - but I loved him dearly. He was diagnosed with cancer when he suddenly starting having major symptoms. It was too late by the time they found it. He died less than four weeks later.

As hard as that was, I must admit that when I look back at my memories, I have no regrets. I was honest with him, but respectful. I disagreed with him regularly, but I honored him when I did it. I told him that I loved him often. And when it came to say good-bye, I found that I had said everything I needed, and wanted, to say.

I guess my hope in sharing this with you is that you'll cherish those you love, even when the relationship is hard. We never know what our tomorrows will bring. We don't know the plans God has for us. But we can cherish today, and those that God has placed in our lives.

And do me a favor - will ya? If you still have your dad around...tell him you love him.

Tuesday, August 08, 2006

A Fun Surprise!

Yep...that would be me down there in the General Fiction Category!

~~~
A relaxed structure of CsBAsBr2, computed with PBEsol.

Summary:
The calculation puts the density of states at the Fermi level at 0.777 states/eV/atom. The final energy is -3.348 eV/atom. The raw formation energy comes out at 1 kJ/mol of atoms.

a = 4.0538 Å, b = 5.6165 Å, c = 5.6165 Å
α = 90.00°, β = 90.00°, γ = 90.00°
Last column: nearest neighbours and their distance in Å.
Positions (direct):
Cs 0.5000 0.5000 0.5000  8 Br 3.46
As 0.5000 0.0000 0.0000  2 B 2.03
B 0.0000 0.0000 0.0000  2 As 2.03
Br 0.0000 0.0000 0.5000  2 B 2.81
Br 0.0000 0.5000 0.0000  2 B 2.81

***

A relaxed structure of FeBAsBr2, computed with PBEsol.

Summary:
The calculation puts the density of states at the Fermi level at 1.113 states/eV/atom. The final energy is -3.843 eV/atom. The energy above the most stable polymorph in this dataset comes out at 66 meV/atom. The raw formation energy comes out at 108 kJ/mol of atoms.

a = 4.4010 Å, b = 4.9386 Å, c = 4.9386 Å
α = 90.00°, β = 90.00°, γ = 90.00°
Last column: nearest neighbours and their distance in Å.
Positions (direct):
As 0.5000 0.0000 0.0000  2 Fe 2.20
B 0.5000 0.5000 0.5000  8 Br 3.31, 4 As 3.49
Fe 0.0000 0.0000 0.0000  2 As 2.20
Br 0.0000 0.0000 0.5000  2 Fe 2.47
Br 0.0000 0.5000 0.0000  2 Fe 2.47
~~~
[The crystal structures stop here]

The finalists for the ACFW BOOK OF THE YEAR:

In Contemporary Novella Category, the finalists are:
Kristy Dykes with Reunited
Pamela Griffin with Strawberry Angel
Robin Lee Hatcher with Veterans Way
Jane Orcutt with Dear Baby Girl
Lenora Worth with Twas the Week Before Christmas

In General Fiction, which includes Sci-Fi and Young Adult, the finalists are: (6 finalilsts due to a tie)
Bryan Davis with Circles of Seven
Bryan Davis with Tears of a Dragon
DiAnn Mills with When the Lion Roars
Miles Owens with Daughter of Prophecy
Sarah Anne Sumpolec with The Passage
Sarah Anne Sumpolec with The Reveal

In the Historical Novella category, the finalists are:
Pamela Griffin with Moonlight Masquerade
Pamela Griffin with Legend of Mercy
DiAnn Mills with Missing Pages
Kathleen Y'Barbo with Coffee Scoop
Kathleen Y'Barbo with Marrying Kind

In the Lits category, the finalists are:
Kristin Billerbeck with She's All That
Kristin Billerbeck with With This Ring I'm Confused
Diann Hunt with Hot Flashes and Cold Cream
Siri Mitchell with Kissing Adrian
Anne Dayton/May Vanderbilt with Emily Ever After

In the Long Historical category, the finalists are:
Tracey Bateman with Color of My Soul
Dorothy Clark with Joy For Mourning
Susan Downs and Susan May Warren with Oksana
Deeanne Gist with A Bride Most Begrudging
Tricia Goyer with Dawn of a Thousand Nights

In the Short Contemporary category, the finalists are:
Colleen Coble with Windigo Twilight
Colleen Coble with Shadow Bones
Mary Davis with The Island
Nancy Lavo with Miss Menace
Elizabeth White with Under Cover of Darkness

In the Short Historical category, the finalists are:
Janet Lee Barton with A Place Called Home
Tracey Bateman with Beside Still Waters
Vickie McDonough with Sooner or Later
DiAnn Mills with Renegade Husband
Kathleen Y'Barbo with Bayou Secrets

In the Suspense category, the finalists are:
Terri Blackstock with Breaker's Reef
Colleen Coble with Distant Echoes
Colleen Coble with Black Sands
Wanda Dyson with Intimidation
Creston Mapes with DarkStar

In the Women's Fiction category, the finalists are:
Nikki Arana with The Winds of Sonoma
Eva Marie Everson with Potluck Club
Susan Meissner with The Remedy for Regret
Deborah Raney with Over the Waters
Linda Windsor with Fiesta Moon

Congratulations to all!!

Sunday, August 06, 2006

Extreme Makeover

We're in the process of re-doing our upstairs bedrooms. For the past three years, I have used one of those bedrooms as an office, but we are slowly trying to transition it downstairs so that each of my three girls can have their own bedrooms. For me, it's a matter of practicality. I want all the toys downstairs moved upstairs and in order to do that, more space would be very helpful.

Only it looks like my house has been ransacked. And I can't yet see the light at the end of the tunnel. It all looks overwhelming and I'm tired and I want it to be finished. Two solid days of work and I still have stuff everywhere.

Last week, the pastor mentioned the story of Joseph - how he was sold by his brothers, imprisoned and was falsely accused - all before the vision God gave him came to pass. I can't help but wonder what struggles Joseph may have had when he was in the middle of that story. Do you think he ever wondered if he heard the right thing? Do you think he ever wanted to give up?

My life feels very much like my house right now. I feel like I'm being stretched and tested on every possible level. Yet part of me knows that I might be in the middle of the story. Joseph didn't have the benefit of being able to read ahead to find out exactly how God was going to work everything out. And unfortunately, I don't either. In my human fraility, I worry and wonder if it will all be worth it.

"God works all things together for the good of those that love him."

I do believe that. But when you're in the middle of the upheaval it's easy to get weary. It's easy to wonder. It would be nice if I could get that one week Extreme makeover from God. Learn what I need to learn so that this winter of my life can finally turn to spring.

But just like I'm going to need to plow through the mess in my hallway, I will need to keep plowing through my life as well. Believing that there is an ending to this particular story that I simply don't know yet.

What I do know is that my seven year old's "Hula Monkey" room is finished. She is SO thrilled. And I have to admit - It makes all that work worth it:-)